World Injustice Part of Daily Life
Our world and our people in it continue to create, experience or observe injustices many of which become a norm due to frequency or circumstance, and others are highlighted as unusual due to concentration of media coverage, the perceived importance or narratives surrounding the events.
Within the framework of these unjust events, world and domestic orders are managed by a complex fabric of interwoven legal regimes, codified and common law systems, criminal and penal codes which vary in their definitions and scope, and vary in the degree to which a crime is measured and punished, according to local and international societal norms and law.
Being Gay Can be a Crime or Cause for Acknowledgment of Personal Freedoms – Singapore, Thailand and the United Kingdom
There are many deviations to the so-called international law order by way of ‘exclusions’ and ‘exceptions’ which are negotiated or mandated by states prior to signing or agreeing to treaties and instrumental legal instruments.
For example, in a particular country, regard might be applied to a certain ‘bundle’ of human rights, but if a person engages in a ‘homosexual act’ this may be criminalized and result in corporal punishment, sometimes in public to ‘humiliate’ the ‘criminal’ as is still the case, although often debated[1] , in Singapore[2]. In many countries, where taboos of the past have evolved into enlightened acceptance of freedoms, being homosexual is a norm of sexual orientation, and it is horrific for those societies to contemplate the parts of the world where a personal choice is considered criminal and worthy of physical sanction and humiliation.

Attached: records of crystals
-- begin --
Entry 1:
Material: Na2Sc3Ta5P12O48
Method: DFT, PBE
State: relaxed

Cell: 8.775 15.197 22.798 Å, 90.00 90.02 90.02°
Fractional coordinates of all 210 atoms:
Na 0.000 0.000 0.000
Na 0.000 0.000 0.500
Na 0.000 0.336 0.339
Na 0.497 0.503 0.499
Na 0.498 0.503 0.001
Na 0.499 0.835 0.837
Sc 0.000 0.001 0.360
Sc 0.000 0.002 0.859
Sc 0.000 0.666 0.528
Sc 0.498 0.501 0.859
Sc 0.498 0.502 0.360
Sc 0.499 0.834 0.982
Sc 0.500 0.835 0.691
Sc 0.998 0.335 0.192
Sc 0.999 0.337 0.482
Ta 0.000 0.670 0.028
Ta 0.498 0.166 0.028
Ta 0.498 0.170 0.528
Ta 0.499 0.168 0.814
Ta 0.500 0.168 0.315
Ta 0.500 0.833 0.481
Ta 0.500 0.834 0.194
Ta 0.501 0.500 0.153
Ta 0.501 0.505 0.651
Ta 0.996 0.998 0.651
Ta 0.998 0.003 0.153
Ta 0.998 0.335 0.693
Ta 0.999 0.335 0.981
Ta 0.999 0.668 0.318
Ta 0.999 0.669 0.814
P 0.140 0.191 0.088
P 0.141 0.145 0.755
P 0.141 0.812 0.423
P 0.143 0.523 0.422
P 0.145 0.478 0.088
P 0.146 0.858 0.756
P 0.212 0.501 0.755
P 0.212 0.837 0.088
P 0.213 0.169 0.421
P 0.285 0.668 0.921
P 0.286 0.336 0.588
P 0.287 0.002 0.255
P 0.353 0.357 0.256
P 0.353 0.645 0.255
P 0.354 0.978 0.587
P 0.355 0.691 0.588
P 0.357 0.025 0.921
P 0.358 0.310 0.922
P 0.641 0.647 0.757
P 0.641 0.690 0.088
P 0.642 0.026 0.423
P 0.643 0.311 0.422
P 0.643 0.359 0.755
P 0.644 0.977 0.088
P 0.712 0.000 0.757
P 0.712 0.335 0.087
P 0.713 0.667 0.423
P 0.783 0.168 0.922
P 0.786 0.834 0.588
P 0.789 0.501 0.257
P 0.855 0.478 0.588
P 0.856 0.147 0.257
P 0.856 0.527 0.922
P 0.856 0.811 0.921
P 0.856 0.857 0.256
P 0.857 0.191 0.587
O 0.064 0.433 0.422
O 0.066 0.766 0.764
O 0.067 0.234 0.033
O 0.069 0.108 0.809
O 0.070 0.097 0.095
O 0.070 0.902 0.701
O 0.072 0.441 0.142
O 0.073 0.770 0.476
O 0.074 0.573 0.366
O 0.076 0.237 0.741
O 0.077 0.904 0.414
O 0.078 0.571 0.074
O 0.104 0.916 0.100
O 0.106 0.422 0.741
O 0.108 0.754 0.080
O 0.109 0.583 0.764
O 0.113 0.578 0.476
O 0.113 0.754 0.366
O 0.115 0.086 0.700
O 0.115 0.914 0.810
O 0.116 0.419 0.033
O 0.118 0.085 0.418
O 0.118 0.252 0.425
O 0.122 0.245 0.142
O 0.177 0.990 0.595
O 0.179 0.659 0.976
O 0.180 0.657 0.262
O 0.180 0.677 0.866
O 0.182 0.317 0.933
O 0.184 0.017 0.200
O 0.184 0.021 0.918
O 0.184 0.344 0.247
O 0.185 0.321 0.643
O 0.189 0.677 0.579
O 0.192 0.982 0.308
O 0.194 0.354 0.534
O 0.305 0.482 0.809
O 0.305 0.855 0.034
O 0.313 0.177 0.075
O 0.313 0.822 0.143
O 0.315 0.515 0.414
O 0.315 0.517 0.700
O 0.315 0.844 0.748
O 0.317 0.156 0.764
O 0.319 0.159 0.476
O 0.319 0.177 0.366
O 0.319 0.819 0.431
O 0.321 0.489 0.095
O 0.380 0.584 0.918
O 0.380 0.752 0.925
O 0.380 0.919 0.533
O 0.383 0.414 0.309
O 0.384 0.586 0.199
O 0.385 0.254 0.867
O 0.387 0.745 0.643
O 0.390 0.083 0.263
O 0.390 0.254 0.580
O 0.392 0.922 0.241
O 0.393 0.416 0.600
O 0.396 0.082 0.976
O 0.420 0.071 0.575
O 0.422 0.738 0.240
O 0.424 0.942 0.642
O 0.425 0.074 0.866
O 0.425 0.263 0.977
O 0.427 0.401 0.919
O 0.428 0.402 0.200
O 0.430 0.609 0.308
O 0.433 0.265 0.264
O 0.434 0.735 0.533
O 0.435 0.936 0.925
O 0.436 0.597 0.596
O 0.564 0.935 0.433
O 0.566 0.400 0.418
-- stop --

However, certain countries ‘permit’ homosexuality, such as Thailand, but have not gone so far as to yet permit the legal recognition of civil partnerships to empower those in same-sex relationships to benefit from laws of successorship and other benefits granted to non-same-sex married persons[3]. In other countries, such as the U.K, which in the past introduced anti-gay laws into Singapore and evolved its laws through anti-homosexuality acts in 1533, through to positive non-discrimination acts in 2004 and 2010, permitting the acquisition of new birth certificates for persons changing gender and protecting LGBT employees from discrimination, harassment and victimization at work[4].
This area of society is not the only one ripe for potential injustice, inconsistent treatment of humans based on historical, cited ‘cultural’ or religious beliefs, designed or resultantly persecuting people for their choices.
Deviating from World Order – Invading a Sovereign State
Another current example of variation from a world order is the invasion of the Ukraine[5].
However, and many commentators appear to have forgotten this important fact, the extent to which there has been a violation, and the outcome of those violations, must be heard in a competent court with jurisdiction, and with such hearings to be conducted in fair circumstances, free of bias, prejudice, independent of the issues at stake, free from conflicts of interest, and with regards to applicable law and justice.

Further, Russia has not accepted nor become a member of the International Criminal Court and therefore may reject jurisdiction and assert immunity[6].
It is not possible, no matter how many Ukrainian flag posts are hoisted upon social media, in a worthy show of moral support for the party and persons suffering the most in these circumstances, to wrap up the matter in a Kangaroo court of self-righteousness, indulgence of presumption and anti-Russian, anti-Ukrainian, anti-supporter sentiment.
This is not the manner in which most people would like themselves or their countries to be judged or analysed in an international court of law, and therefore, whilst humanitarian aid is deployed, and yes – if necessary
military support and justified protection of citizens and world peace is also necessary, the judgment and conclusions cannot be rendered by society in general. Instead, we must consider the analysis of the forums of law we have accepted as part of our world order [7]. We can make some pre-emptive conclusions, we can state if we believe that violence is right, wrong, justified, abhorrent, cruel, genocidal and we can hold opinions, express them and debate them. However, we cannot conclude, legally, on the overall status of violation of rights and justice.
Reasons and Rational Critical Thinking are the Bedrock of Justice
As a parent or guardian, mentor or any person with responsibility to supervise, develop, train or educate another person, when carrying out an act which is perceived by the recipient to be worthy of challenge, the provision of a reason provides opportunity to assess fairness.

A developing child may question a rule repeatedly with the response ‘why?’. A parent, guardian, educator or mentor may exhaust their explanations and be tempted to try and conclude the set of explanations with ‘…because I said so.’ To provide such an answer is a shortcut to providing rational explanations and is a blunt method of bringing any debate to a swift end. Whilst time pressure may cause such a response and if a series of explanations have been given but unreasonably rejected, a more curt answer may then be more justifiable, to provide such a response without having first attempted to provide reasons, and to permit fair discussion on the reasons, would be a dangerous norm to develop. “You are may slave because I say so”. “You are being underpaid because I can get away with it.” “I will torture you because you did something against my religious beliefs, regardless of what yours are.”. These are all dangerous products of a failure to provide justifiable reasons and allow debate.
Arbitration and Providing Reasons
The more sophisticated but understandable a reason for a judgment, the more likely it is to be accepted, even by the so-called ‘losing’ party. That justice must not only be done, but be seen to be done[8] is also of crucial importance in international arbitration of disputes through the use and disclosure of critical reasoning[9]. The ‘standard’ of justice provided by an arbitral tribunal determined whether an award is flawed and needs to be corrected, or worst, hasn’t been rendered properly and may not be enforceable as a result.
An arbitrator incapable of critical reasoning and communicating rational reasons is therefore an impediment to justice.

== What comes next are materials data, not part of the text ==
Density functional theory data (GGA+U) for KLi2FeO3 after structural relaxation.

## Properties
total energy after the MP2020 corrections = -5.58 eV per atom
energy relative to the elements = -10.85 eV/f.u.
symmetry = No. 9

Lattice parameters (Å, degrees): 5.495 5.495 6.151 90.09 90.09 73.43
Sites, in units of the cell vectors:
K (0.178, 0.822, 0.500)
K (0.822, 0.178, 0.000)
Li (0.267, 0.270, 0.745)
Li (0.270, 0.267, 0.245)
Li (0.725, 0.730, 0.749)
Li (0.730, 0.725, 0.249)
Fe (0.312, 0.683, 0.997)
Fe (0.683, 0.312, 0.497)
O (0.014, 0.333, 0.492)
O (0.333, 0.014, 0.992)
O (0.497, 0.498, 0.747)
O (0.498, 0.497, 0.247)
O (0.657, 0.980, 0.496)
O (0.980, 0.657, 0.996)

***

Density functional theory data (GGA+U) for LiFeSi3O8 after structural relaxation.

## Properties
total energy after the MP2020 corrections = -7.90 eV per atom
energy relative to the elements = -36.49 eV/f.u.
symmetry = No. 2

Lattice parameters (Å, degrees): 7.110 7.115 7.719 116.65 107.15 98.38
Sites, in units of the cell vectors:
Li (0.148, 0.016, 0.318)
Li (0.852, 0.984, 0.682)
Fe (0.433, 0.059, 0.704)
Fe (0.567, 0.941, 0.296)
Si (0.175, 0.568, 0.324)
Si (0.268, 0.480, 0.711)
Si (0.316, 0.172, 0.051)
Si (0.684, 0.828, 0.949)
Si (0.732, 0.520, 0.289)
Si (0.825, 0.432, 0.676)
O (0.070, 0.459, 0.773)
O (0.200, 0.004, 0.795)
O (0.204, 0.359, 0.139)
O (0.233, 0.550, 0.534)
O (0.307, 0.818, 0.392)
O (0.319, 0.250, 0.622)
O (0.352, 0.056, 0.192)
O (0.461, 0.688, 0.932)
O (0.539, 0.312, 0.068)
O (0.648, 0.944, 0.808)
O (0.681, 0.750, 0.378)
O (0.693, 0.182, 0.608)
O (0.767, 0.450, 0.466)
O (0.796, 0.641, 0.861)
O (0.800, 0.996, 0.205)
O (0.930, 0.541, 0.227)

***

Density functional theory data (GGA+U) for Li2MnP4O12 after structural relaxation.

## Properties
total energy after the MP2020 corrections = -7.59 eV per atom
energy relative to the elements = -50.28 eV/f.u.
symmetry = No. 62

Lattice parameters (Å, degrees): 9.573 9.391 10.345 90.00 90.00 90.00
Sites, in units of the cell vectors:
Li (0.006, 0.099, 0.182)
Li (0.006, 0.401, 0.182)
Li (0.494, 0.599, 0.682)
Li (0.494, 0.901, 0.682)
Li (0.506, 0.099, 0.318)
Li (0.506, 0.401, 0.318)
Li (0.994, 0.599, 0.818)
Li (0.994, 0.901, 0.818)
Mn (0.011, 0.250, 0.801)
Mn (0.489, 0.750, 0.301)
Mn (0.511, 0.250, 0.699)
Mn (0.989, 0.750, 0.199)
P (0.198, 0.750, 0.605)
P (0.210, 0.537, 0.389)
P (0.210, 0.963, 0.389)
P (0.228, 0.250, 0.518)
P (0.272, 0.750, 0.018)
P (0.290, 0.037, 0.889)
P (0.290, 0.463, 0.889)
P (0.302, 0.250, 0.105)
P (0.698, 0.750, 0.895)
P (0.710, 0.537, 0.111)
P (0.710, 0.963, 0.111)
P (0.728, 0.250, 0.982)
P (0.772, 0.750, 0.482)
P (0.790, 0.037, 0.611)
P (0.790, 0.463, 0.611)
P (0.802, 0.250, 0.395)
O (0.101, 0.750, 0.719)
O (0.115, 0.569, 0.277)
O (0.115, 0.750, 0.026)
O (0.115, 0.931, 0.277)
O (0.135, 0.059, 0.875)
O (0.135, 0.441, 0.875)
O (0.143, 0.250, 0.638)
O (0.147, 0.250, 0.127)
O (0.153, 0.616, 0.517)
O (0.153, 0.884, 0.517)
O (0.176, 0.124, 0.424)
O (0.176, 0.376, 0.424)
O (0.324, 0.624, 0.924)
== The text goes on ==

If you take the time to observe lawyers, litigators and others in the professional field, you will unfortunately observe much irrational, egotistical, immature, self-interested, abusive and toxic behaviour[10], just as you would observe by sitting on the roadside, the entrance to a school or place of worship, and observing the manner in which people drive and treat others such as pedestrians on a pedestrian crossing[11]. Through such observation, it would seem rational to conclude that persons who regularly indulge in such behaviour are not fit to be the legal judge of a situation, dispute and to render an ‘award’ of an outcome to one party and to deny such to another. The foundations of their thinking, and their behaviour, are manifestly unsuitable for deployment in an area where the parties are seeking justice.
None of us should be complacent to our own weaknesses and that of others, and if we develop our maturity, our fairness, eliminate our bias and prejudice as much as we are able, think independently, and when delivering an opinion ensure we are able to at least sincerely justify it without barbaric insults or milder passive aggressive inclinations, then we may foster an environment of fairness conducive to the resolution of disputes, through just means, on a day to day basis, in politics, society, culture, domestic and international courts of law, at our dining tables and even, perhaps, on social media exchanges.

[1] Singapore’s high court retains and anti-gay law (The Economist, 5 March 2022 see: )
[2] Jamie Wareham Singapore Upholds Colonial Anti-Gay Laws: Being Gay Remains Illegal for 5.7 Million People (Forbes Online 30 March 2020 see:
[3] Bang Khunthian to register same-sex marriages on Valentine’s Day (Bangkok Post Online 11 February 2022 see: note that the
[4] Steven Dryden A short history of LGBT rights in the UK (British Library, undated, see: last accessed 7 March 2022)
[5] Anthony Dworkin International law and the invasion of Ukraine (25 February 2022 European Council on Foreign Relations see: last accessed 7 March 2022)
[6] ibid 6.
[7] Permanent Court of International Justice International Court of Justice – History (see: last accessed 7 March 2022)
[8] Lord Justice Gordon Hewart The King v Sussex Justices (1923) “It is not merely of some importance but it is fundamental importance that justice should not only be done, but should manifestly and undoubtedly be seen to be done.”
[9] Antonio Crivellaro, Mélida N.Hodgson Explaining Why You Lost (International Chamber of Commerce (ICC) Dossiers, ICC Institute of World Business Law ICC Publication: 810E 2020)
[10] Abby Young-Powell “I was sworn at and tole I was useless’: law’s problem with bullying at work” (The Guardian Online 15 May 2019)
[11] Atiya Achakulwisut When zebra crossings become death traps (Bangkok Post Online 25 January 2022 see: last accessed 7 March 2022)